Rubbish Recycled Rhetoric #2: The M&M Argument

You’ve seen it a thousand times. In all likelihood, you’ve probably seen it employed by vastly different demographics. Which I find amazingly strange, because one would think that when on the receiving end of this utterly worthless reductive argument, one immediately and intuitively realizes just how deeply flawed it is. So I can see why one would then turn it around and wield it ironically, reductio ad absurdum, as a joke.

But then to use it seriously? To have the stupid thing proliferate through internet discourse? It’s completely unfathomable to me.

So let’s get to it. It looks something like this:


Or, it goes like this:

== Quantum chemistry results, as found in the file ==
+++
No. 1
The following is a DFT calculation (ωB97M-V/def2-TZVPD) of C17H16N4O2SSbSe4Zn as an isolated structure.

Structure (ORCA input):
```
! wB97M-V def2-TZVPD RIJCOSX def2/J DEFGRID3
* xyz -1 1
Sb -3.80 -1.10 -0.83
Se -4.56 -3.16 0.18
Se -3.31 0.68 0.94
Se -1.29 -1.47 -1.48
Se -4.94 -0.15 -2.74
Zn -1.04 0.21 0.13
S 2.34 0.10 -0.37
O -0.71 -5.66 4.72
O 0.70 -4.69 6.12
N 2.02 -1.75 -2.36
N -0.13 0.14 2.01
N 2.21 -2.62 -0.40
N -0.30 2.16 0.19
C 1.90 -3.12 -2.50
C 0.32 3.73 1.86
C -0.31 -3.39 2.94
C -0.06 -3.36 4.31
C -0.27 4.47 -0.33
C 0.03 -4.60 5.13
C -0.08 -1.00 2.84
C 0.09 2.43 1.44
C 2.02 -3.67 -1.27
C 0.16 -2.14 4.94
C -0.47 3.14 -0.68
C -0.32 -2.21 2.21
C 0.12 4.77 0.96
C 0.13 -0.96 4.22
C 2.19 -1.43 -1.05
C 0.24 1.30 2.37
C 1.87 -0.78 -3.42
H 2.21 -1.22 -4.35
H -0.43 5.25 -1.06
H 0.62 3.92 2.88
H 0.33 -2.13 6.01
H -0.54 -2.23 1.15
H -0.51 -4.32 2.42
H -0.79 2.86 -1.67
H 1.98 -4.69 -0.96
H 1.72 -3.58 -3.45
H 0.65 1.51 3.35
H 0.27 5.80 1.27
H -1.28 -5.40 3.98
H 0.24 -0.02 4.74
H 2.27 -2.67 0.61
H 2.46 0.10 -3.17
H 0.82 -0.49 -3.51
*
```

Calculated values
E_HOMO: -3.82 eV
Energy above the lowest of the compared OMol25 structures with the same formula, charge and spin: 12.6 kcal per mole
Frontier orbital gap: 4.44 eV
E_tot: -13050.65361 Ha

No. 2
The following is a DFT calculation (ωB97M-V/def2-TZVPD) of C17H17AuClF3N2O3S2Te as an isolated structure.

Structure (ORCA input):
```
! wB97M-V def2-TZVPD RIJCOSX def2/J DEFGRID3
* xyz 0 3
Au 0.83 1.39 -0.16
Te 1.90 -0.96 -0.24
Cl -1.39 -4.86 -2.50
S 0.52 0.18 3.26
S 0.57 3.76 0.05
F -1.41 -1.36 4.17
F -0.23 -2.24 2.57
F 0.59 -2.10 4.57
O 1.81 -0.13 2.68
O 0.54 0.87 4.53
O -0.45 0.70 2.30
N 1.06 3.79 2.72
N -1.05 3.73 2.23
C -1.55 0.84 -0.79
C -1.04 3.51 3.68
C -0.17 -1.47 3.68
C 1.65 -1.98 -4.99
C 1.92 -2.69 -2.71
C -1.55 -0.52 -1.21
C -1.52 -2.89 -0.65
C 0.18 3.73 1.73
C 1.62 -0.35 -3.23
C 1.81 -1.36 -2.29
C -1.47 -3.20 -2.00
C 1.55 -0.66 -4.58
C 0.42 3.86 4.03
C -1.50 -0.87 -2.58
C 1.83 -3.00 -4.06
C -1.46 -2.20 -2.97
C -1.56 -1.56 -0.26
H 0.51 4.87 4.44
H 1.53 0.68 -2.90
H -1.53 -3.68 0.08
H -1.75 4.15 4.18
H 1.90 -4.03 -4.38
H -1.41 -2.46 -4.02
H -1.48 -0.09 -3.33
H 0.85 3.13 4.72
H -1.81 1.06 0.24
H 1.59 -2.23 -6.05
H -1.82 3.44 1.64
H 2.06 -3.48 -1.99
H 2.05 3.79 2.55
H -1.62 -1.31 0.79
H -1.25 2.46 3.90
H -1.69 1.62 -1.53
H 1.41 0.13 -5.31
*
```

Calculated values
E_HOMO (spin up / spin down): -7.21 / -8.63 eV
Energy above the lowest of the compared OMol25 structures with the same formula, charge and spin: 0.0 kcal per mole
Frontier orbital gap (spin up / spin down): 7.49 / 6.29 eV
E_tot: -2953.12826 Ha

No. 3
The following is a DFT calculation (ωB97M-V/def2-TZVPD) of a 5-piece molecular cluster, C17H17BCl16N2O4S overall in a non-equilibrium geometry.

Structure (ORCA input):
```
! wB97M-V def2-TZVPD RIJCOSX def2/J DEFGRID3
* xyz 0 1
Cl 7.04 0.69 -4.29
Cl 4.20 0.69 -4.84
Cl 9.54 -0.81 1.44
Cl 1.87 -8.09 1.31
Cl 4.24 1.72 1.04
Cl 0.61 -5.75 0.15
Cl 7.53 -1.70 -0.46
Cl 3.06 4.36 1.29
+++


Or maybe, like this:


You get the idea.

This “argument,” if you can call it that without gagging, is used and abused by tons of people in very different camps, all the time. It’s another classic piece of rubbish recycled rhetoric, something that gets slapped on an image that can be circulated and go viral when people see it and already agree so they hit the share button, because simple arguments don’t make brain go ow.

Let’s examine the point, with an ounce of charity, to boil down what it’s trying to get across.

The Attempted Point:

You have a sample of a thing, say X, and a smaller number of that larger sample, Y, is hazardous in some way. The numbers seem to vary a bit depending on who’s using them (10%, or apparently even 0.1%) in terms of wha portion of the sample in question is hazardous. The supposition here is that even if the hazardous sample is incredibly small, you’ll hesitate to take a random sample of the larger sample when you’re playing with your life (the implication being eating a poisoned M&M kills you, I suppose).

Now, if I haven’t made it clear already, I’m really having a hard time believing I really even need to write this post. It’s frankly somewhat shocking that it’s not so patently obvious how shitty this argument is that people wouldn’t immediately realize and abandon it. But, much to my continued dismay, and to the continued knee-capping of social discourse, it still lives. And especially since it’s so egregiously bad, there’s a duty here to dismantle it, for the good of our ability to reason as a society. Sigh.

Why It’s Garbage

10% isn’t very much. There’s a decent chance that in any sample of just about anything, that 10% of that sample sucks. So, let’s go reductio ad absurdum first. You basically just need a stereotype, and you stick it in the formula, and ta-dah, you have your stereotype affirming BS argument.

  1. You say not all white kids are school shooters? Imagine a bowl of M&M’s. 10% of them are poisoned. Go ahead, eat a handful. Not all M&M’s are poison, and not all white kids are school shooters.
  2. You say not all conservatives want to shoot up abortion clinics? M&M’s
  3. You say not all conservatives are closet racists? M&M’s.
  4. You say not all liberals want to ban all guns? M&M’s.
  5. You say not all cops want to kill black people? M&M’s.
  6. You say not all black people want to kill cops in retaliation? M&M’s.
  7. You say not all black people are criminals? M&M’s.

I hope you get the picture. This rhetoric can be used to apply to literally any stereotype about a general demographic you can think of. It’s basically a catch-all argument for stereotyping. And therefore bigotry. Last time I checked, bigotry was bad. Following?

Second approach. How about that .1% huh? That’s a really, really low number. Are we really going to balk at that? I can maybe understand, theoretically, not wanting to play Russian roulette with a 10 chamber gun. But one bad apple in a thousand? Let’s take a minute and look at some statistics, for perspective.



So, if we’re not risking anything with more than a 1/1,000 chance of death, don’t get in a car. Or on a motorcycle. In fact, don’t go near roads, since lots of pedestrians are killed. Don’t keep any sharp objects or pills in the house, because you just might off yourself. Also you sure as shit better switch to an all kale and quinoa diet, because heart disease and cancer, damn. Just to be safe, don’t go near any body of water, since drowning is pretty darn close to 1/1000 deaths.

Look, goofy statistics aside, the point is you take risks in your life every day when you get out of bed. Hell there’s probably a pretty small statistical chance that getting out of bed will kill you, and you do that a whole lot. Maybe you should stop risking that, since you risk your life every time you do.

Life is risk, folks. There are no 100% safety assurances on anything. And if that’s what you want, go lock yourself in a rubber room and strap into your bubble suit.


I really hope that’s about enough to wrap this up. But do me a favor, next time you see anyone, regardless of whether you happen to agree with their point, use this argument, tell them it’s BullShit and they shouldn’t be using it. Because it’s bad rationale, and every time it’s used it enables other people to use it as a form of rhetoric for some equally shitty point. Even if you happen to be using it to support a otherwise tenable position, using it alone is an issue.

If you’re too lazy to explain why the argument is shit, just copy the link to this post on the person’s stupid picture or comment. I don’t mind the site traffic.

Rubbish Ranking:

I’ve also decided that if I keep going forward with these types of posts, I’m going to start ranking how shitty these pieces of rhetoric are. Factors in their shittiness are as follows:

  1. How prevalent is the rhetoric? The more common it is, the worse the ranking.
  2. How shitty is the argument? Is it never usable? Would it be alright in some circumstances, but sometimes it’s misused?
  3. How much overall impact and damage does the rhetoric have on people’s likelihood to think through the issue?

So, without further ado, I give The M&M Argument:

blight on human discourse

“A Blight on Human Discourse!” This godforsaken thing is horribly common, and even when the position it’s supposedly defending is solid, it does damage. It not only stops people from thinking, but encourages people to use stereotyping and hasty generalization as methods of evaluating problems. Huge no-no.

I’m also going to retro-actively go back and rate Rubbish Recycled Rhetoric #1: “Nobody Blamed the Lightsaber” so go ahead and check that out if you haven’t already.


Rubbish Recycled Rhetoric #1: “Nobody Blamed The Lightsaber”

Hello non-existent readers. It’s been ages since I posted anything here, and long enough that perusing my old posts makes me cringe at the titles alone. Partially to comfort myself, I’d like to reaffirm that while my jimmies occasionally do get rustled and thereby prompt a salty post here, everything I write is backed primarily by a motivation to spark reasonable discourse. Disgusted by something I wrote a few years ago? In all likelihood, me too. Drop a comment and we can talk about how shitty some of those older posts are.

Moving forward, I’m going to be starting (attempting to start) a new post series that I think has some potential, and is important to me given the goal of this blog. In this post I’ll both pitch this new post series and its goals, and offer my first prompt on the topic. Here’s the pitch.

This day and age, while nothing “new,” it seems we’re becoming increasingly likely to let others do our thinking for us. Clever little visual puns and one-liner “arguments” float around on pictures that are shared on social media, as if a substitute for robust intellectual discussion, or at least sufficient to drive the sharer’s proposed point home. 99% of the time, the rhetoric being used on these types of posts, is utter garbage. There are very few intelligent nuanced and robust arguments on complex issues that can be reduced to half a sentence. If you find one that really does work, treat it like a diamond, because they’re way more rare than those.

ORCA calculation (ωB97M-V/def2-TZVPD) on a molecular structure, C50H49GeN9OSZr in a non-equilibrium geometry.

Structure (XYZ):
```
112
Properties=species:S:1:pos:R:3
Zr -0.69568 -0.26294 0.18831
O -0.35845 -1.82447 3.78232
C -0.30573 -0.95116 2.91991
N 0.47218 -0.95216 1.80779
C 1.28039 -2.16055 1.62666
C 0.02916 -3.12893 -0.44165
C 0.47200 -4.20062 -1.40979
C 0.20692 -4.12900 -2.71814
C -0.43254 -2.96832 -3.27256
C -0.73963 -1.95266 -2.43982
N -0.62925 -1.97492 -1.07242
C -1.07933 0.33582 3.07976
C -1.63353 0.66445 4.30169
C -2.26739 1.88840 4.43405
C -2.34270 2.72007 3.32613
C -1.79566 2.29218 2.12778
N -1.15438 1.13523 2.00172
H 0.92767 -2.92735 2.30806
H 2.32553 -1.95220 1.86926
H 1.00716 -5.03121 -0.96594
H 0.52311 -4.93373 -3.37295
H -0.61287 -2.87399 -4.33294
H -1.10496 -1.02551 -2.85034
H -1.55014 -0.04845 5.11066
H -2.71920 2.18063 5.37316
H -2.84637 3.67519 3.37958
H -1.87886 2.86871 1.21026
S 0.43789 0.97943 -1.79738
C 2.32180 -1.97211 -1.70403
N 2.68894 -1.85148 -2.87098
N 3.48511 -2.83369 -3.49100
C 3.71778 -4.05691 -2.82685
C 3.38005 -5.26809 -3.42319
C 3.59481 -6.46148 -2.75195
C 4.13155 -6.46135 -1.47251
C 4.49071 -5.25522 -0.88579
C 4.30290 -4.06033 -1.56151
N 2.20337 -1.95679 -0.48683
N 1.29868 -2.67709 0.27194
C -0.88599 -3.79023 0.58845
C -0.39720 -4.72457 1.50271
C -1.24732 -5.33829 2.40480
C -2.60653 -5.04394 2.39956
C -3.10813 -4.16252 1.45795
C -2.25360 -3.55122 0.54567
H 3.13034 -2.94618 -4.42876
H 2.92827 -5.27162 -4.40865
H 3.31567 -7.39561 -3.22269
H 4.26870 -7.39185 -0.93769
H 4.92267 -5.24320 0.10694
H 4.60253 -3.12370 -1.11312
H 0.65810 -4.97015 1.50256
H -0.84971 -6.05264 3.11439
H -3.26644 -5.51852 3.11438
H -4.17080 -3.95395 1.41906
H -2.65760 -2.92959 -0.24342
C 3.31217 2.75867 2.90594
C 1.97826 1.98805 2.73142
N 1.67578 1.83198 1.32107
C 2.81779 1.19897 0.65703
C 4.01639 2.16711 0.62864
N 3.69283 3.30019 1.55982
C 2.56155 4.10790 0.99213
C 1.39259 3.13187 0.71985
H 4.12504 2.11506 3.23902
H 3.22353 3.59863 3.59353
H 1.15818 2.52588 3.21109
H 2.04617 1.00094 3.19042
H 2.51648 0.93478 -0.35390
H 3.06352 0.28414 1.19400
H 4.17364 2.59402 -0.36155
H 4.94303 1.70663 0.96928
H 4.51019 3.89616 1.65995
H 2.91791 4.58972 0.08267
H 2.31398 4.87479 1.72606
H 1.22893 2.97072 -0.34667
H 0.47103 3.52566 1.14369
C -0.99480 1.59020 -0.93654
Ge -2.80478 0.91354 -1.49304
C -3.67871 -0.58326 -2.50732
C -3.45930 -0.68154 -3.88494
C -3.96023 -1.74227 -4.62307
C -4.69218 -2.74068 -3.99393
C -4.93867 -2.65066 -2.63311
C -4.43883 -1.57914 -1.89963
C -3.70985 2.48867 -2.28994
C -3.18738 3.75907 -2.05181
C -3.81002 4.89433 -2.55517
C -4.96365 4.77319 -3.31888
C -5.48811 3.51433 -3.57444
C -4.86430 2.38215 -3.06306
C -3.78672 0.74170 0.25506
C -3.51277 -0.31084 1.13545
C -4.17879 -0.46113 2.34377
C -5.15901 0.45316 2.69655
C -5.45676 1.50644 1.84180
C -4.77657 1.64715 0.63966
H -2.88266 0.08893 -4.38864
H -3.77150 -1.79727 -5.68850
H -5.07159 -3.58014 -4.56283
H -5.52609 -3.41496 -2.13792
H -4.66836 -1.51960 -0.84210
**The entry goes on:**

The point is, more often than not, these argument pacifiers of sorts are floating around and blinding people with contentment. They’re stopping real conversations short at horribly oversimplified and watered down points, feeding an unwillingness to think and encounter things that we disagree with. We see ones we already agree with, chuckle over the pun or simplicity of it and our own intellectual superiority, hit the share and/or like button, and done.

That’s legitimately dangerous for intellectualism, and any hopes for reaching real understanding and conclusions on important issues. 

Rarely, someone will see the post and comment, prompting a real discussion, which is the goal, in which case, great. But when we become complacent with these pre-packaged pieces of putrid pontification (don’t judge me I needed a P word) we’re killing discourse in its crib. And when we kill discourse in its crib, we breed an ignorant stubborn populace. And when we breed an ignorant stubborn populace, society breaks down. Basically bad things happen, and we should push against these.

So, without further ado, the first Rubbish Recycled Rhetoric:

The point here is pretty clear and simple (as it always is): light sabers don’t slaughter defenseless innocents, Jedi tripping balls do. It’s a ham fisted argument by analogy to “guns don’t kill people, people kill people. Don’t blame the instrument, blame the culprit.”

For those that haven’t seen the Star Wars movies (it’s okay, they’re not even actually that good, everyone is just nostalgia’d blind) this is a scene in which the main character has been blinded by emotional desperation and turns to the Dark Side under the guide of the bad guy of the series who has him slaughtering all the Jedi, which included small children in training. He does go through with it.

The supposition runs like this: Anakin is now a Bad Guy, and no one wants to ban light sabers, they just want to stop the Bad Guy. So, extending it to real life, we should just be trying to stop Bad Guys, not banning guns.

The problem is, the analogy doesn’t function to deliver the desired conclusion, which is to push against gun control.

Light sabers in the Star Wars universe are presumably pretty heavily regulated pieces of equipment. You can’t just go and buy one from Star-Mart. As featured in the very picture being shared, you’re obligated to start training as a very small child under the direct supervision of Jedi masters. You dedicate your life to becoming a master of the weapon, and learning the Jedi code, which includes pretty stringent ethical requirements.

Anakin was even banned from becoming a Jedi in Episode 1, because he was fearful for his mother. Yoda (little green Jedi master guy with funny grammar), in a famous scene, suggests:

And thus bans tiny 8-12 year old little Anakin from becoming a Jedi, and thus, obtaining a light saber. Simply because he was afraid.

This means that light sabers are crazy more regulated in the Star Wars universe than guns are in ours.

But hey, if you want some 900 year old dude looking into the heart of children when they’re 10 to decide whether they’re allowed to own a gun, requiring that they must dedicate their lives to a prescribed moral code and way of life surrounding protecting others, I’m on board.

On the other hand, if you want to make a point about how guns don’t kill people and therefore shouldn’t be punished when someone does something bad with them, Star Wars is NOT the model you want to use to illustrate your point.

Rubbish Ranking:

So, all that being said, the idea behind the argument isn’t in itself horrible. I mean, it’s not great, but it’s not inherently flawed. To suggest that one ought not blame a tool, but instead the agent using it works in some situations. Even if it were used in a better scenario, it’s not strong enough to stand on its own, and would need some serious heavy lifting performed by other pieces of argument. So this piece of recycled rhetoric could be worse. Rubbish ranking?

not the argument

Molecular data that have nothing to do with the piece
A structure of composition C39H36AsCl2N4O11S2SiW. Source: the OMol25 dataset; level of theory: ωB97M-V/def2-TZVPD.

Each line ends with the Mulliken charge.
Cartesian coordinates (Å):
W 0.046 0.206 -0.159  -1.3118
As -0.265 -3.038 -1.391  1.6341
Cl -3.629 1.238 1.885  -0.1620
Cl -4.498 -3.717 3.685  -0.2457
S -2.054 -0.020 -2.099  1.7051
S 1.153 2.665 1.935  -0.4845
Si -0.234 3.413 -1.220  0.8744
O -0.784 0.295 1.516  1.2064
O -0.272 -1.629 -0.325  -0.7896
O -0.594 -0.184 -2.326  -0.5096
O 6.441 -1.376 4.462  -0.4990
O 0.808 -2.597 -2.679  -0.6103
O 2.418 -2.224 -0.267  -0.4837
O -2.775 0.842 -2.965  -0.6704
O 6.285 -3.227 3.094  -0.5031
O 0.073 -4.416 -0.640  -0.7304
O 1.724 -0.237 0.499  1.3831
O -2.040 0.425 -0.657  -0.3629
N -0.440 3.495 3.873  0.0728
N 0.216 -2.012 2.487  0.2883
N 0.654 1.792 -1.076  1.2071
N 0.235 1.294 3.997  -0.2038
C -3.390 -2.527 3.097  0.5902
C -1.662 -0.602 2.071  -1.4948
C -2.779 -1.636 -2.196  0.5390
C -1.800 3.326 -0.219  -0.3153
C -4.122 -4.057 -2.393  -0.6465
C -2.987 -0.314 2.252  1.0927
C 3.480 0.156 -2.895  -0.7366
C 4.309 1.231 -3.178  -0.9475
C -0.979 4.445 6.039  -0.5084
C 2.592 -1.320 0.499  -0.0796
C 5.452 -1.188 3.560  1.0832
C -4.799 -2.872 -2.617  -0.7746
C -2.084 -2.833 -1.979  -0.1752
C 3.586 -1.256 1.573  -0.0136
C 4.433 -2.372 1.726  -1.0673
C -2.770 -4.036 -2.071  -1.0528
C -0.585 3.544 -3.048  -1.1543
C 4.634 -0.093 3.420  -1.5283
C 2.284 0.375 -2.235  -0.4077
C 0.262 2.468 3.357  0.3663
C 3.910 2.503 -2.793  -0.8216
C 0.792 4.890 -0.685  -1.5540
C 3.684 -0.144 2.401  -0.4355
C -1.131 -1.851 2.517  0.6438
C -3.862 -1.295 2.764  -0.6931
C 5.353 -2.303 2.730  0.8947
C -2.988 2.564 6.406  -0.7829
C -2.749 3.521 7.382  -0.5394
C -1.444 -4.082 3.382  -1.0517
C 1.865 1.645 -1.844  1.2512
C 2.709 2.717 -2.133  -0.2566
C -1.219 3.482 5.067  -0.0515
C -0.095 -4.249 3.295  -1.1055
C -2.010 -2.843 3.002  -0.1403
C 7.001 -2.669 4.196  -0.2597
C -4.127 -1.660 -2.520  -0.8348
C -2.236 2.549 5.240  0.0212
C 0.699 -3.169 2.859  -0.0165
C -1.751 4.466 7.190  -0.5671
H -2.459 1.842 4.450  0.5925
H 4.732 0.768 4.066  0.4643
H 0.375 -5.183 3.567  0.4636
H 3.029 0.704 2.240  0.4969
H 0.752 0.525 3.602  -0.0577
H -2.086 -4.874 3.740  0.4550
H -1.686 2.780 0.716  -0.3987
H -4.645 -0.729 -2.711  0.5383
H 1.580 4.665 0.029  0.4521
H 1.779 -3.276 2.819  0.3142
H 1.214 5.405 -1.550  0.4744
H 4.349 -3.229 1.072  0.5389
H -1.255 2.761 -3.405  0.2519
H -3.778 1.837 6.539  0.4167
H -5.850 -2.879 -2.872  0.4380
H -3.344 3.535 8.285  0.4044
H -2.242 -4.962 -1.875  0.5220
H 3.753 -0.850 -3.184  0.4824
H 4.545 3.354 -3.004  0.4577
H 1.611 -3.134 -2.581  0.3663
H 2.458 3.723 -1.842  0.1848
H 0.110 5.589 -0.192  0.3959
H -0.186 5.168 5.894  0.4623
H -2.627 2.891 -0.779  0.2185
H 6.873 -3.303 5.073  0.2585
H 8.052 -2.557 3.931  0.2667
H 5.249 1.086 -3.694  0.4116
H -2.066 4.354 0.043  0.5757
H 0.334 3.511 -3.635  0.3624
H -0.262 4.381 3.429  0.3174
H -4.911 -1.057 2.875  0.5867
H -1.065 4.508 -3.242  0.3865

Go ahead, read it in the voice. I won’t stop you.


It’s primarily an issue of a really bad example used to back a shady-at-best piece of reasoning. The reasoning itself could theoretically be augmented by a better argument, but Star Wars and lightsabers were really not the route to go. Better luck next time. Just remember, there is no “try.”